Power Query: A Tangled Web Part 2
5 March 2025
Welcome to our Power Query blog. This week, I load the web data I extracted last time to the Power Query editor.
When extracting data from the web version of Power Query, it utilises M code to access the data in a form that can be used in reports. Over the next few blogs, I am planning to examine the M code produced. The data I am going to use to investigate web data is our very own website:

This page contains a table of upcoming courses, along with various buttons and text:

Last time, I used the web connector to examine the data in the Navigator dialog.

I also created more tables using the ‘Add Table Using Examples’ functionality.

I found that I cannot combine data from inside a table and data outside of that table in the same custom table. Therefore, I added two [2] custom tables:

The training contact data has been captured in Table 2 but not in Table 1.
Now, I will use ‘Transform Data’ to view the M code used to capture the data I have chosen. Since I want to load all the data to the Power Query editor, I first enable the ‘Select Multiple Items’ box, and then choose all available data:

I choose to ‘Transform Data’.

I have five [5] new queries, two [2] of which are text (HTML Code and Displayed Text), and three [3] of which are Tables. Let’s look at HTML Code first:

As the name suggests, this is HyperText Markup Language (HTML). The M code is:
= Web.BrowserContents("https://www.sumproduct.com/courses")
The M function Web.BrowserContents() has the following syntax:
Web.BrowserContents(url as text, optional options as nullable record) as text
According to Microsoft’s documentation, this function returns the HTML for the specified url, as viewed by a web browser. An optional record parameter, options, may be provided to specify additional properties. The record can contain the following fields:
- ApiKeyName: if the target site has a notion of an API key, this parameter can be used to specify the name (not the value) of the key parameter that must be used in the URL. The actual key value is provided in the credential
- WaitFor: specifies a condition to wait for before downloading the HTML, in addition to waiting for the page to load (which is always done). This can be a record containing Timeout and/or Selector fields. If only a Timeout is specified, the function will wait the amount of time specified before downloading the HTML. If both a Selector and Timeout are specified, and the Timeout elapses before the Selector exists on the page, an error will be thrown. If a Selector is specified with no Timeout, a default Timeout of 30 seconds is applied. An example of a selector is the CSS selector "div.ready".
The HTML Code query is giving me the raw HTML data. Let’s see how this differs from the Displayed Text query:

This time, there are two steps. The source step is the same as the HTML Code source step:

Someone pasted data records at this point.
=====
(1)
Density functional theory data (wB97M-V/def2-TZVPD) for a 3-piece molecular cluster, C2H9NO3 overall in a non-equilibrium geometry.

```
15
Properties=species:S:1:pos:R:3:lowdin_charge:R:1
C 0.97985 1.17050 0.57609 -0.3927
C -0.11595 -1.66043 0.83730 -0.0736
N 1.21133 1.07927 -0.74497 0.1412
O -0.09343 1.58283 1.02185 -0.0273
H -1.24306 1.49956 -0.14867 0.0724
H 1.85268 0.98205 1.21729 0.1337
H 2.10801 0.80545 -1.09754 0.1004
H 0.37952 1.14873 -1.33559 0.0859
H -0.45918 -2.69745 0.90845 0.0699
H 0.97399 -1.68076 0.75986 0.0694
H -0.51422 -1.12861 1.70054 0.0802
O -0.84012 -1.10231 -0.38848 -0.1728
O -1.60051 1.22870 -1.14089 -0.1751
H -2.06370 0.38176 -1.00542 0.0156
H -0.57521 -1.60928 -1.15982 0.0729
```

Values from the calculation:
SMILES string = NC=O.CO.O
LUMO = 0.661 eV
HOMO-LUMO gap = 10.45 eV


(2)
Density functional theory data (wB97M-V/def2-TZVPD) for C22H30AsBF2IN6O2Ru as an isolated structure in a non-equilibrium geometry.

```
66
Properties=species:S:1:pos:R:3:lowdin_spin:R:1
Ru -0.64116 0.24154 -0.09776 0.8351
F -1.48586 1.69225 -2.50305 0.0110
B -1.46092 1.95130 -1.12699 0.0179
F -2.67050 2.43316 -0.66352 0.0003
C 2.38879 3.76509 -0.95567 0.0000
As 0.93159 2.94695 -1.86991 0.0016
C 0.36128 4.12389 -3.26995 0.0006
C 1.42730 1.28458 -2.68461 0.0049
O -0.39380 2.89907 -0.77910 0.0098
H 2.86645 4.47815 -1.62619 0.0000
H 3.09368 2.99808 -0.64581 0.0000
H 2.00581 4.26841 -0.07078 0.0000
H 1.11146 4.13619 -4.06035 0.0001
H 0.22843 5.12610 -2.86760 0.0000
H -0.58329 3.74625 -3.65529 0.0000
H 2.50583 1.17056 -2.58540 0.0002
H 1.12761 1.31578 -3.72995 0.0000
H 0.92372 0.47200 -2.16433 0.0041
I -6.78814 -0.87760 0.51422 -0.0001
C -4.76026 -1.06698 0.22738 -0.0003
C -4.06442 -2.20803 -0.10431 -0.0011
N -2.77229 -1.86019 -0.16233 -0.0016
N -2.58515 -0.55575 0.09656 -0.0035
C -3.79363 -0.05837 0.33246 -0.0016
H -4.39156 -3.21528 -0.29621 -0.0001
H -1.95856 -2.37221 -0.49830 0.0004
H -3.92071 0.97741 0.58713 -0.0001
N 2.79308 -0.87000 -0.14001 0.0004
C 2.37904 0.32629 0.43807 0.0003
O 1.35704 0.96491 -0.07869 0.0023
C 3.08439 0.84089 1.61502 -0.0003
C 4.16808 0.13352 2.16863 -0.0001
N 5.03601 -0.51330 2.58724 -0.0002
C 2.68179 2.02283 2.24852 -0.0001
N 2.33719 3.01212 2.75458 -0.0001
H 3.44483 -1.45491 0.35719 0.0000
H 2.08111 -1.34312 -0.68732 0.0003
C 2.00847 -3.86389 -2.36339 0.0003
C 0.48152 -3.77890 -2.24141 0.0066
C -0.15053 -3.92752 -3.63219 0.0026
C -0.01945 -4.90806 -1.33079 0.0038
C 0.09695 -2.47368 -1.67064 0.0468
C -0.18707 -1.36336 -1.24325 0.0171
H 2.29679 -4.79718 -2.85323 -0.0001
H 2.47947 -3.83784 -1.37900 0.0001
H 2.39487 -3.03139 -2.95201 0.0000
H 0.11143 -4.89789 -4.06086 0.0004
H 0.20318 -3.14334 -4.30186 0.0001
H -1.23732 -3.85698 -3.57300 0.0000
H 0.31841 -5.87607 -1.70793 0.0006
H -1.11115 -4.92295 -1.29624 0.0001
H 0.35503 -4.78233 -0.31406 0.0003
C -1.20423 1.73123 6.12321 0.0002
C -1.06358 1.43797 4.65881 0.0008
C -0.78234 2.43095 3.73450 0.0019
C -0.64775 2.10903 2.39478 0.0100
N -0.78443 0.86313 1.93861 0.0261
=====

The next step is called ‘Extracted Table From Html’, and it does just that:

I will come back to this step in a moment. The final step is a navigation step:

This drills down into Column1 of the previous Table.
The M code for ‘Extracted Table From Html’ is:
= Html.Table(Source, {{"Column1", "BODY"}})
The syntax for Html.Table() is:
Html.Table(html as any, columnNameSelectorPairs as list, optional options as nullable record) as table
The documentation says that this function returns a table containing the results of running the specified CSS selectors (columnNameSelectorPairs) against the provided html. An optional record parameter, options, may be provided to specify additional properties. The record can contain the following fields:
- RowSelector: This is a way of filtering the data selected, for example only hrefs could be selected if the RowSelector each [Attributes][href] was used.
In the case Displayed Text, the ‘BODY’ of the Html source is extracted into Column1, accessing the text.
Next time, I will look at the remaining queries.
Come back next time for more ways to use Power Query!